
The signature is an array that assigns a probability to a single nucleotide mutation taking into account its context [1]. It represents the chance of a certain mutation to occur within a context.

(These data records were left in the piece by mistake)
'''
C21H31ClN4O5S | ωB97M-V/def2-TZVPD

Output
* orbital gap: 9.29 eV
* HOMO level: -0.3220 Ha
* LUMO energy: 0.527 eV

```
! RIJCOSX wB97M-V def2-TZVPD def2/J DEFGRID3
* xyz 0 1
C 3.1621 -4.3285 6.6538
C 4.0710 -3.5738 5.6950
O 3.3703 -3.1555 4.5224
C 2.6409 -2.0270 4.6468
O 2.6066 -1.3436 5.6418
N 1.9138 -1.7629 3.5282
C 2.0833 -2.4542 2.2691
C 2.8369 -1.5533 1.2806
N 2.2384 -0.2449 1.1866
S 1.3115 0.1887 -0.1074
O 1.3473 1.6128 -0.1722
O 1.7937 -0.5846 -1.2162
N -0.2544 -0.2429 0.1163
C -1.2256 0.6472 0.7040
C -2.5179 0.6224 -0.1117
C -3.0332 -0.8073 -0.2498
C -1.9540 -1.6866 -0.8962
C -1.8319 -1.2911 -2.3758
O -2.8273 -1.2806 -3.0758
N -0.6020 -1.0301 -2.8466
C -0.3852 -0.6309 -4.2186
C 0.1160 0.8163 -4.3089
C -0.9044 1.7845 -3.7802
C -2.1143 1.9635 -4.4425
C -3.0749 2.8270 -3.9512
C -2.8192 3.5296 -2.7849
Cl -4.0168 4.6096 -2.1556
C -1.6186 3.3750 -2.1140
C -0.6689 2.4985 -2.6126
C -0.6789 -1.6087 -0.0528
C 2.0126 0.4179 2.4483
C 1.2386 -0.4871 3.4140
H 2.3793 -3.6669 7.0160
H 3.7423 -4.6842 7.5002
H 2.7055 -5.1785 6.1522
H 4.4927 -2.6933 6.1899
H 4.8739 -4.2144 5.3245
H 1.0901 -2.6968 1.8766
H 2.6366 -3.3763 2.4385
H 3.8716 -1.4317 1.6223
H 2.8421 -1.9768 0.2772
H -1.4372 0.3474 1.7423
H -0.7823 1.6420 0.7007
H -2.3230 1.0294 -1.1039
H -3.2633 1.2503 0.3774
H -3.9220 -0.8224 -0.8808
H -3.2954 -1.2084 0.7326
H -2.3023 -2.7262 -0.8993
H 0.1995 -0.9342 -2.2384
H 0.3543 -1.3012 -4.6689
H -1.3399 -0.7450 -4.7369
H 1.0400 0.9040 -3.7341
H 0.3326 1.0394 -5.3561
H -2.3132 1.4185 -5.3529
H -4.0145 2.9545 -4.4653
H -1.4270 3.9270 -1.2072
H 0.2571 2.3664 -2.0730
H -0.8985 -2.0567 0.9309
H 0.1433 -2.1609 -0.5093
H 2.9840 0.6673 2.8905
H 1.4724 1.3397 2.2378
H 0.2241 -0.6640 3.0425
H 1.1933 -0.0404 4.4081
*
```

Partial atomic charges computed with the Mulliken method, in multiples of e: C -1.121; C -0.292; O -0.385; C 0.730; O -0.651; N 0.116; C -0.484; C -0.896; N -0.086; S 1.666; O -0.754; O -0.910; N 0.298; C -0.939; C 0.268; C -1.573; C 0.786; C 0.020; O -0.709; N 0.041; C -0.980; C -1.296; C 0.405; C -0.043; C -0.894; C 0.463; Cl -0.244; C -0.941; C -0.008; C -1.761; C -0.881; C -0.808; H 0.312; H 0.387; H 0.294; H 0.332; H 0.327; H 0.110; H 0.439; H 0.385; H 0.480; H 0.180; H 0.660; H -0.511; H 0.526; H 0.520; H 0.495; H 0.526; H 0.115; H 0.405; H 0.563; H 0.415; H 0.435; H 0.388; H 0.433; H 0.442; H 0.447; H 0.481; H 0.642; H 0.422; H 0.502; H 0.253; H 0.456

C21H31F5MgP2 | ωB97M-V/def2-TZVPD

Output
* orbital gap: 4.00 eV
* HOMO level: -0.1772 Ha
* energy relative to the best compared isomer or geometry (same formula, charge and spin): 425.2 kJ/mol
* LUMO energy: -0.822 eV

```
! RIJCOSX wB97M-V def2-TZVPD def2/J DEFGRID3
* xyz 0 1
P 2.5440 -3.6932 -3.6945
P -0.9935 -4.6729 -3.0260
C 1.6808 -5.2886 -3.8891
C 0.1951 -5.3138 -4.3109
H 1.8622 -5.8913 -2.9799
H 2.2626 -5.7716 -4.6954
H 0.0271 -4.7589 -5.2512
H -0.0982 -6.3670 -4.4721
C -1.0093 -6.2290 -2.0155
H -1.6704 -6.0733 -1.1556
H -0.0030 -6.4636 -1.6387
H -1.3821 -7.0682 -2.6171
'''
(The piece goes on)

Check the different options for the signature in the configuration file. In short, you can choose between not using any signature, using your own signature or computing the signature from the mutations file. Additionally, signatures can be grouped into different categories (such as the sample).

The signature array is computed by counting, for each Single Nucleotide Polymorphism, the reference and alternated triplets.


OncodriveFML also uses the MNP mutations to compute the signature, by treating them as a set of separate SNPs. You can enable or disable this behaviour with the include_mnp option in the configuration file.

The counts are then divided by the total number of counts to generate a frequency of triplets. For a mutation i the frequency is f_i = \frac{m_i}{M} where M = \sum_j m_j, and m_i represent the number of times that the mutation i with its context [1] has been observed.

Optionally, the signature can be corrected taking into account the frequency of trinucleotides in the reference genome. OncodriveFML introduces this feature because the distribution of triplets is not expected to be constant. When using the command line interface, OncodriveFML does this correction automatically according to the value passed in the flag --sequencing (you can list all the options using the help).

Reasoning behind the correction

Let’s first take the conditional probability of a mutation (with contectx [1]) to occur given the number of those triplets in the region: p_i = p(m = i | T_i) = \frac{m_i}{T_i}.

Then, the normalized frequency of the mutation i is: \overline{f_i} = \frac{m_i/T_i}{\sum_j m_j/T_j}.

The results can be adapted in case our inputs are not absolute values but relative frequencies. f_i is the frequency of mutations and t_i the frequency of nucleotides:

f_i = \frac{m_i}{\sum_j m_j};      t_i = \frac{T_i}{\sum_j T_j} \simeq \frac{T_i}{N}

[What comes next are data records, not part of the article]
'''
(1)
'''

(N is the number of nucleotides, \sum_j T_j = N - 2 \cdot s, where s is the number of segments)


\overline{f_i} = \frac{f_i/t_i}{\sum_j f_j/t_j}

(The text is interrupted by molecular data)
/*
The following is a DFT calculation (ωB97M-V/def2-TZVPD) of a structure of composition C19H37ClGdSi4 at a distorted geometry.

The geometry in XYZ format:
```
62
Properties=species:S:1:pos:R:3:mulliken_spin:R:1
C 1.29589 0.30255 -3.03981 -0.14
C 0.36458 -0.15080 -4.00182 0.09
C 0.05049 -1.49542 -3.69362 -0.14
H -0.02939 0.42195 -4.82473 0.05
C 0.75752 -1.85521 -2.52489 -0.09
C 1.53392 -0.74330 -2.13087 0.02
H 2.14764 -0.68250 -1.24783 -0.06
H 1.69427 1.30032 -2.96870 -0.07
H -0.65841 -2.11307 -4.21664 0.00
H 0.70325 -2.80367 -2.01699 -0.03
Gd -0.75126 -0.16649 -1.97390 7.45
Cl -0.50140 1.44166 -0.45086 -0.13
C -6.09839 -0.87558 -3.29705 0.00
C -5.83807 -2.26002 -3.32830 0.00
C -5.38283 -2.58854 -4.62090 0.00
H -5.96583 -2.95182 -2.50246 0.00
C -5.36176 -1.40700 -5.38854 0.00
C -5.80422 -0.34837 -4.57043 0.00
H -5.90091 0.69037 -4.86846 0.00
H -6.46097 -0.31388 -2.44262 0.00
H -5.09864 -3.57762 -4.96460 0.00
H -5.05863 -1.32656 -6.42708 0.00
C 0.27979 -2.63730 2.43168 -0.01
Si 1.59337 -1.53959 1.69609 0.12
C 2.83473 -1.11452 3.02983 0.01
C 2.60705 -2.59581 0.53523 0.00
Si 0.62697 0.35395 0.81695 -0.03
Si -0.68090 1.13963 2.60700 0.00
C 0.14493 1.01018 4.27773 -0.01
C -1.10050 2.95176 2.36699 0.00
C -2.29370 0.20213 2.68032 0.00
Si 2.43987 1.84990 0.63826 0.03
C 3.01181 2.47320 2.30629 0.00
C 3.93389 1.15147 -0.24300 -0.01
C 1.95519 3.39790 -0.30395 0.01
H 0.75941 -3.54497 2.85141 0.00
H -0.44631 -2.92781 1.64617 -0.02
H -0.23654 -2.10107 3.24973 0.00
H 3.22822 -2.05217 3.47119 0.00
H 3.68211 -0.56714 2.57231 -0.01
H 2.38903 -0.50515 3.83230 0.00
H 1.96989 -3.01365 -0.25819 0.00
H 3.44220 -2.01066 0.10182 0.00
H 3.03506 -3.44216 1.11008 0.00
H 1.10510 1.56097 4.28264 0.00
H -0.52422 1.45205 5.04396 0.00
H 0.31067 -0.05367 4.53135 0.00
H -1.67712 3.10102 1.43256 0.00
H -1.71568 3.30006 3.22140 0.00
H -0.16868 3.55060 2.32528 0.00
H -2.83170 0.32731 1.71885 0.00
H -2.11127 -0.87289 2.86013 0.00
H -2.91258 0.61071 3.50509 0.00
H 3.36046 1.64794 2.94939 0.00
H 3.84883 3.18564 2.15199 0.00
H 2.18125 3.01135 2.80171 0.00
H 3.69675 0.91058 -1.29721 0.01
H 4.73675 1.91635 -0.24477 0.00
H 4.29779 0.24872 0.28440 0.00
H 1.65896 3.13451 -1.33965 -0.01
H 1.11097 3.90403 0.20517 0.01
H 2.82127 4.08960 -0.34742 0.00
```

- energy above the lowest of the compared OMol25 structures with the same formula, charge and spin (kcal per mole) = 169.0
- multiplicity = 8
- HOMO (alpha / beta) (eV) = -2.64 / -1.68
- E (a.u.) = -3129.85377
- net charge = -1
- lowest unoccupied orbital energy (alpha / beta) (eV) = 1.7 / 1.3
- Kohn-Sham gap (alpha / beta) (eV) = 4.30 / 3.01
*/
(The molecular data stop here)


\frac{f_i/t_i}{\sum_j f_j/t_j} = \frac{\frac{\frac{m_i}{\sum_j m_j}}{\frac{T_i}{\sum_j T_j}}}{\sum_k \frac{\frac{m_k}{\sum_j m_j}}{\frac{T_k}{\sum_j T_j}}} = \frac{\frac{m_i}{T_i} \cdot \frac{\sum_j T_j}{\sum_j m_j}}{\sum_k (\frac{m_k}{T_k} \cdot \frac{\sum_j T_j}{\sum_j m_j})} = \frac{\frac{m_i}{T_i} \cdot \frac{\sum_j T_j}{\sum_j m_j}}{\frac{\sum_j T_j}{\sum_j m_j} \cdot \sum_k \frac{m_k}{T_k}} = \frac{m_i / T_i}{\sum_k m_k/T_k}

[1](1, 2, 3) The context is formed by the previous and posterior nucleotides.